Gut Feeling
1. a state of anxiety and uncertainty over actual or potential problems.
Imani POV
Dan and Cheryl where home when I got back, and so far, they haven't said a word about the party. I assume we're in the clear, but I'm still on edge. Partly because Kelly hasn't been answering my phone calls.
She texted me when she was about to leave, but that was almost an hour ago.
I dial her number and it goes straight to voicemail for the third time.
I sigh.
This doesn't feel right at all.
A bad feeling grows in the pit of my stomach, but I push it down, knowing I'm probably just overreacting.
"You okay?" Ethan asks, glancing at me briefly from his spot beside me on the couch.
I snuggle into Ethan's embrace and pull his arm tighter around me.
I'm about to say yeah, when something that Kelly said earlier creeps into my brain.
"Who's Rachel?" I ask, feeling him immediately tense up beside me.
== Inserted here: materials data ==
# Cu2SnBi2 PBE-GGA optimized geometry
# formation energy from the elements = 0.18 eV/atom
# E above lowest polymorph = 0.019 eV per atom
data_Cu2SnBi2
_chemical_formula_sum 'Cu4 Sn2 Bi4'
_cell_length_a 7.245
_cell_length_b 7.245
_cell_length_c 4.301
_cell_angle_alpha 90.00
_cell_angle_beta 90.00
_cell_angle_gamma 90.00
_symmetry_space_group_name_H-M 'P 4/m b m'
_symmetry_Int_Tables_number 127
_symmetry_space_group_name_Hall '-P 4 2ab'
loop_
_atom_site_label
_atom_site_fract_x
_atom_site_fract_y
_atom_site_fract_z
Cu1 0.122 0.378 0.000
Sn1 0.000 0.000 0.000
Bi1 0.171 0.671 0.500

# LiPtRh2 PBE-GGA optimized geometry
# formation energy from the elements = -0.19 eV/atom
# E above lowest polymorph = 0.067 eV per atom
data_LiPtRh2
_chemical_formula_sum 'Li2 Pt2 Rh4'
_cell_length_a 9.058
_cell_length_b 2.721
_cell_length_c 4.629
_cell_angle_alpha 90.00
_cell_angle_beta 98.91
_cell_angle_gamma 90.00
_symmetry_space_group_name_H-M 'C 1 2/m 1'
_symmetry_Int_Tables_number 12
_symmetry_space_group_name_Hall '-C 2y'
loop_
_atom_site_label
_atom_site_fract_x
_atom_site_fract_y
_atom_site_fract_z
Li1 0.000 0.000 0.000
Pt1 0.000 0.500 0.500
Rh1 0.243 0.000 0.749

# Er12Cu6Ag PBE-GGA optimized geometry
# formation energy from the elements = -0.18 eV/atom
data_Er12Cu6Ag
_chemical_formula_sum 'Er24 Cu12 Ag2'
_cell_length_a 9.699
_cell_length_b 9.699
_cell_length_c 9.699
_cell_angle_alpha 90.00
_cell_angle_beta 90.00
_cell_angle_gamma 90.00
_symmetry_space_group_name_H-M 'I m -3'
_symmetry_Int_Tables_number 204
_symmetry_space_group_name_Hall '-I 2 2 3'
loop_
_atom_site_label
_atom_site_fract_x
_atom_site_fract_y
_atom_site_fract_z
Er1 0.000 0.293 0.188
Cu1 0.000 0.125 0.500
Ag1 0.000 0.000 0.000

# RbGeOsI2 PBE-GGA optimized geometry
# energy relative to the elements, uncorrected = 0.03 eV per atom
data_RbGeOsI2
_chemical_formula_sum 'Rb1 Ge1 Os1 I2'
_cell_length_a 5.851
_cell_length_b 5.851
_cell_length_c 4.720
_cell_angle_alpha 90.00
_cell_angle_beta 90.00
_cell_angle_gamma 90.00
_symmetry_space_group_name_H-M 'P 4/m m m'
_symmetry_Int_Tables_number 123
_symmetry_space_group_name_Hall '-P 4 2'
loop_
_atom_site_label
_atom_site_fract_x
_atom_site_fract_y
_atom_site_fract_z
Rb1 0.000 0.000 0.000
Ge1 0.500 0.500 0.000
Os1 0.500 0.500 0.500
I1 0.000 0.500 0.500

# HfMo6W PBE-GGA optimized geometry
# formation energy from the elements = 0.73 eV/atom
data_HfMo6W
_chemical_formula_sum 'Hf2 Mo12 W2'
_cell_length_a 7.316
_cell_length_b 5.313
_cell_length_c 7.810
_cell_angle_alpha 90.00
_cell_angle_beta 103.24
_cell_angle_gamma 90.00
_symmetry_space_group_name_H-M 'C 1 2/m 1'
_symmetry_Int_Tables_number 12
_symmetry_space_group_name_Hall '-C 2y'
loop_
_atom_site_label
_atom_site_fract_x
_atom_site_fract_y
_atom_site_fract_z
Hf1 0.000 0.000 0.000
Mo1 0.129 0.000 0.416
Mo2 0.201 0.239 0.784
W1 0.000 0.500 0.500

# Pr4ThSn2 PBE-GGA optimized geometry
# formation energy from the elements = -0.20 eV/atom
data_Pr4ThSn2
_chemical_formula_sum 'Pr12 Th3 Sn6'
_cell_length_a 5.4315
"What?" He asks, his voice raising an octave.
"Rachel. You said something about some Rachel chick earlier and I wanna know what that's all about." I pull away from him and give him a serious look.
"Oh, her." He mumbles, scratching his stubbly chin.
I fold my arms across my chest. "Yeah...her."
# What comes next are crystal structures, not part of the text
┌──
Y4AsPt | PBE-GGA | optimized geometry

The formation energy is 0.30 eV per atom. Its crystal system is cubic. The uncorrected energy is -5.795 eV per atom.

It has space group F-43m (No. 216), with a = 8.526 Å, b = 8.526 Å, c = 8.526 Å, α = 90.00°, β = 90.00° and γ = 90.00°. Symmetry generates all atoms from Y at (0.125, 0.125, 0.125), As at (0.250, 0.250, 0.750) and Pt at (0.000, 0.000, 0.500).

CsAc2CdO5 | PBE-GGA | optimized geometry

Its crystal system is tetragonal. The calculation puts the raw formation energy at -2.202 eV per atom. The uncorrected energy is -6.067 eV per atom.

It has space group I4/mcm (No. 140), with a = 7.317 Å, b = 7.317 Å, c = 12.773 Å, α = 90.00°, β = 90.00° and γ = 90.00°. Symmetry generates all atoms from Cs at (0.000, 0.000, 0.250), Ac at (0.175, 0.325, 0.000), Cd at (0.000, 0.500, 0.250), O at (0.000, 0.000, 0.000) and O at (0.137, 0.363, 0.383).

Number 1: magnetic moment 0.00 μB per atom. Number 2: magnetic moment 0.11 μB per atom.
└──
# The text goes on
"Alright," he gulps nervously, "so Rachel was a girl that Kelly and I knew back when we both went to the same highschool.
"She was a grade higher than Kelly, but they became best friends when Kelly joined the cheer squad..." He places a hand to his chin as he thinks aloud. "Or it might've been the dance team...Hell, I don't know, it was some group.
"Anyway, the two of them were inceprable, they did literally everything together. They would always hang out together, and sometimes she would come over and spend the night."
I purse my lips, not liking where this is going.
He continues. "At the time, I was a senior- and let's just say I was a bit of a player."
Next to the article, the page also holds crystal structures:
/*
[1]
SrCdSn2Ir | GGA-PBE | relaxed

Output
Space-group type: No. 129

Cell lengths 4.6906, 4.6906, 11.5167 Å; angles 90.00, 90.00, 90.00 degrees
Fractional positions:
Sr 0.5000 0.0000 0.7360
Sr 0.0000 0.5000 0.2640
Sn 0.5000 0.0000 0.1594
Sn 0.0000 0.5000 0.8406
Sn 0.0000 0.0000 0.5000
Sn 0.5000 0.5000 0.5000
Ir 0.5000 0.0000 0.3853
Ir 0.0000 0.5000 0.6147
Cd 0.5000 0.5000 0.0000
Cd 0.0000 0.0000 0.0000

---

[2]
SrCdIr | GGA-PBE | relaxed

Output
Space-group type: No. 216

Cell lengths 4.9574, 4.9574, 4.9574 Å; angles 60.00, 60.00, 60.00 degrees
Fractional positions:
Ir 0.7500 0.7500 0.7500
Sr 0.0000 0.0000 0.0000
Cd 0.2500 0.2500 0.2500

---

[3]
SrCd2Ir | GGA-PBE | relaxed

Output
Space-group type: No. 216

Cell lengths 5.0139, 5.0139, 5.0139 Å; angles 60.00, 60.00, 60.00 degrees
Fractional positions:
Sr 0.5000 0.5000 0.5000
Ir 0.2500 0.2500 0.2500
Cd 0.0000 0.0000 0.0000
Cd 0.7500 0.7500 0.7500

---

[4]
SrCdIr | GGA-PBE | relaxed

Output
Space-group type: No. 216

Cell lengths 4.8319, 4.8319, 4.8319 Å; angles 60.00, 60.00, 60.00 degrees
Fractional positions:
Sr 0.7500 0.7500 0.7500
Ir 0.0000 0.0000 0.0000
Cd 0.2500 0.2500 0.2500

---

[5]
SrCdIr2 | GGA-PBE | relaxed

Output
Space-group type: No. 216

Cell lengths 4.8185, 4.8185, 4.8185 Å; angles 60.00, 60.00, 60.00 degrees
Each line ends with the local moment (μB).
Fractional positions:
Sr 0.7500 0.7500 0.7500  0.00
Ir 0.2500 0.2500 0.2500  0.48
Ir 0.0000 0.0000 0.0000  0.74
Cd 0.5000 0.5000 0.5000  0.00

---

[6]
TaCd2Ir | GGA-PBE | relaxed

Output
Space-group type: No. 216
ΔH_f (0 K) (meV/atom): 88.1

Cell lengths 4.6392, 4.6392, 4.6392 Å; angles 60.00, 60.00, 60.00 degrees
Fractional positions:
Cd 0.2500 0.2500 0.2500
Cd 0.0000 0.0000 0.0000
Ta 0.7500 0.7500 0.7500
Ir 0.5000 0.5000 0.5000

---

Energy values (in eV/atom) by entry order: -4.349, -3.064, -3.008, -3.740, -4.650, -5.536.

~~~~~

Below is a relaxed structure of Sr3Ca3Ag4, with properties calculated at the PBE-GGA level.

abc: 4.5602 8.3918 8.3918
angles: 89.89 90.00 90.00
Sites, in units of the cell vectors:
Sr: 0.5000 0.8342 0.1658
Sr: 0.5000 0.3304 0.3325
Sr: 0.5000 0.6675 0.6696
Ca: 0.0000 0.4955 0.9980
Ca: 0.0000 0.0020 0.5045
Ca: 0.5000 0.1685 0.8315
Ag: 0.0000 0.6240 0.3760
Ag: 0.0000 0.3669 0.6331
Ag: 0.0000 0.8822 0.8713
Ag: 0.0000 0.1287 0.1178

D(E_F) ... 0.709 states/eV per atom
Density ... 4.212 g cm⁻³
Uncorrected energy ... -2.523 eV per atom
Energy of formation from the pure elements ... -0.2777 eV/atom

~~~~~

Crystalline Pr3Sn3Pt at its relaxed geometry. Source: Alexandria via LeMat-Bulk, functional GGA-PBE.

```
data_Pr3Sn3Pt
_cell_length_a 11.552
_cell_length_b 4.660
_cell_length_c 15.441
_cell_angle_alpha 90.00
_cell_angle_beta 110.02
_cell_angle_gamma 90.00
_space_group_name_H-M_alt 'C 1 2/m 1'
_space_group_IT_number 12
_space_group_name_Hall '-C 2y'
loop_
_atom_site_label
_atom_site_type_symbol
_atom_site_fract_x
_atom_site_fract_y
_atom_site_fract_z
Pr1 Pr 0.025 0.000 0.381
Pr2 Pr 0.098 0.000 0.922
*/
I raise a brow and he smiles, placing a hand on my thigh. "Bare with me now."
I nod for him to go on. "Anyway, Rachel came over one night for some reason that I can't even remember now..." He furrows his brows, trying to recall the distant memory.
"Yeah, I don't know, but the point is she came over, and I guess she waited until Kelly fell asleep, then she came into my room and made a pass at me.
"Mind you, I was a horny teenage boy at the time, and she was a really pretty girl, so I thought: 'hey, why not?'
"I'm not proud of it, but I slept with her behind Kelly's back."

Summer [Completed]
Romance"I like you." I roll my eyes, even though I can't help but blush. "Don't be dumb." "You gotta stop doing that," he takes a step forward. I take two steps back. "Doing what?" Suddenly, I'm out of space. Taking advantage of our close proximity, he pla...